Medina school leader vents frustration over Common Core tests

By Tom Rivers, Editor Posted 22 April 2015 at 12:00 am

Photo by Tom Rivers – Medina Board of Education President Chris Keller, left, and District Superintendent Jeff Evoy lead the BOE meeting on Tuesday at Wise Middle School Library.

MEDINA – The school district had 21 percent of eligible students opt out of standardized tests last week for grades 3 through 8, which was a big increase from the 2 percent that refused the test the previous year.

Board of Education President Chris Keller said there has been “a lot of healthy discussion” in the community and state-wide about the ELA and math tests and the opt out movement. Some districts in Erie County had more than half of their students refuse the tests.

Keller thanked the Medina parents and students that declined to opt out last week. (The math tests start today and continue until Friday.)

Keller teaches English at Albion and voiced his concern that tests, for 90 minutes daily over three days in a week, are too lengthy and disruptive to the school day. He said the testing could be concentrated to two days instead of three.

The tests then continue to take teachers out of their classroom in the days after the exams because the teachers have to grade them.

Entry 1:
First-principles (PBE+U) data for a relaxed structure of Cs3NiF7, as listed in Materials Project.

Results
Symmetry: P4/mbm, No. 127
ΔH_f (0 K) in kcal/mol of atoms: -56.9
E (MP2020) in eV per atom: -4.456

Cell: 8.4772 8.4772 6.2664 Å, 90.00 90.00 90.00°
Last column: nearest neighbours and their distance in Å.
Fractional coordinates of all 22 atoms:
F 0.3939 0.8939 0.7948  1 Ni 1.81
Ni 0.0000 0.5000 0.0000  6 F 1.81
F 0.1061 0.3939 0.7948  1 Ni 1.81
F 0.1061 0.3939 0.2052  1 Ni 1.81
F 0.8494 0.3494 0.0000  1 Ni 1.81
F 0.6061 0.1061 0.2052  1 Ni 1.81
Cs 0.6930 0.8070 0.5000  10 F 3.04-3.22
F 0.0000 0.0000 0.5000  6 Cs 3.07-3.13
Cs 0.5000 0.5000 0.0000  6 F 3.13-3.23
Cs 0.3070 0.1930 0.5000  10 F 3.04-3.22
F 0.1506 0.6506 0.0000  1 Ni 1.81
F 0.8939 0.6061 0.2052  1 Ni 1.81
Cs 0.8070 0.3070 0.5000  10 F 3.04-3.22
F 0.8939 0.6061 0.7948  1 Ni 1.81
F 0.3939 0.8939 0.2052  1 Ni 1.81
Ni 0.5000 0.0000 0.0000  6 F 1.81
F 0.6061 0.1061 0.7948  1 Ni 1.81
F 0.6506 0.8494 0.0000  1 Ni 1.81
F 0.5000 0.5000 0.5000  6 Cs 3.07-3.13
F 0.3494 0.1506 0.0000  1 Ni 1.81
Cs 0.0000 0.0000 0.0000  6 F 3.13-3.23
Cs 0.1930 0.6930 0.5000  10 F 3.04-3.22

=====

Entry 2:
First-principles (PBE+U) data for a relaxed structure of Li3V3P8O29, as listed in Materials Project.

Results
Symmetry: P1, No. 1
ΔH_f (0 K) in kcal/mol of atoms: -58.3
Distance to the lowest polymorph of the same formula in kJ per mole of atoms: 0.6
E (MP2020) in eV per atom: -7.638

Cell: 9.7366 9.7495 14.3838 Å, 89.63 89.55 60.07°
Last column: nearest neighbours and their distance in Å.
Fractional coordinates of all 86 atoms:
P 0.7808 0.9078 0.1595  4 O 1.49-1.60
P 0.0844 0.6927 0.8420  4 O 1.49-1.61
O 0.7989 0.1984 0.7506  2 P 1.61
V 0.5695 0.4322 0.2486  6 O 1.85-1.94
O 0.3395 0.1847 0.1812  1 P 1.59
O 0.6562 0.6785 0.9689  1 P 1.48
O 0.5138 0.6721 0.8237  1 P 1.59
Li 0.3248 0.9098 0.4368  3 O 1.94-2.06
O 0.6560 0.0803 0.8347  1 P 1.56
P 0.2246 0.6847 0.3371  4 O 1.51-1.62
O 0.7893 0.2197 0.5762  1 P 1.47
O 0.0810 0.5362 0.8290  1 P 1.56
O 0.4810 0.3365 0.1771  1 P 1.57
O 0.6562 0.6670 0.4709  1 P 1.48
O 0.2240 0.7712 0.4238  1 P 1.51
O 0.6192 0.4632 0.6772  1 P 1.57
O 0.0069 0.7950 0.7488  2 P 1.61-1.62
V 0.4365 0.0029 0.2490  6 O 1.82-1.94
O 0.7944 0.0067 0.4207  1 P 1.48
O 0.1866 0.4773 0.1831  1 P 1.57
O 0.9149 0.3468 0.6718  1 P 1.55
O 0.5411 0.0777 0.3282  1 P 1.55
O 0.9170 0.7350 0.1716  1 P 1.55
O 0.7905 0.1978 0.9269  1 P 1.48
Li 0.2234 0.6799 0.5462  2 O 1.90-1.97
O 0.6709 0.8172 0.8238  1 P 1.57
V 0.9991 0.5604 0.2532  6 O 1.87-1.91
Li 0.3197 0.7725 0.9484  2 O 1.92-1.93
O 0.7975 0.0050 0.2436  2 P 1.60-1.63
O 0.3468 0.9162 0.1724  1 P 1.56
O 0.1875 0.3332 0.6819  1 P 1.56
O 0.0736 0.3801 0.3322  1 P 1.55
O 0.5396 0.3780 0.8289  1 P 1.58
P 0.3177 0.9060 0.6551  4 O 1.48-1.60
P 0.6615 0.6676 0.3678  4 O 1.48-1.58
O 0.3820 0.5292 0.3243  1 P 1.54
P 0.3312 0.3365 0.6355  4 O 1.48-1.59
O 0.7911 0.9766 0.0687  1 P 1.49
O 0.2269 0.7973 0.0701  1 P 1.49
The data records stop here:

“I have a lot of severe concerns about the test,” Keller said.

He didn’t detail those issues because he said he is grading some of them for Albion and he signed a nondisclosure agreement. But he did say that many educational experts view the tests “as developmentally inappropriate.”

Gov. Andrew Cuomo and the State Legislature want to see more of a teacher’s evaluation be tied to student scores on the Common Core tests. Currently, 20 percent of a teacher’s score is linked to the test results. Cuomo wants to push that to 50 percent of a teacher’s evaluation.

“Politics has gotten involved in education in New York and it has gutted education,” Keller said at Tuesday’s board meeting. “We have a problem right now in that kids can’t read very well, and it’s not just Albion and Medina. It’s state-wide.”

Keller said the state in recent years has put too much emphasis on testing. Rather than recognize that mistake, the state is “doubling down on testing,” Keller said.

Keller prefers the Scholastic testing materials over Pearson, a business that sells education products and services. Scholastic tests are taken on a computer and teachers have immediate access to the results and can respond to students who are struggling, Keller said.

Teachers won’t know the results of the Pearson exams, given last week and this week, for individual students until August or September.

“At that point the students have moved on to the next grade,” Keller said.